A common complaint I hear from individuals trying to coordinate life with a narcissist is: “Whenever we have to address differences, our discussions get absolutely nowhere.” Has that ever been the case with you?

In healthy relationships, we make room for a wide array of thoughts, feelings, and opinions, and in the interest of harmony, we make efforts to find a mutually beneficial middle ground as we move forward.

Narcissists, though, do not draw upon healthy traits. With their high need for control, their entitled attitudes, and their low levels of empathy, they bring contention to the equation, creating all sorts of frustrating experiences for you.

You have probably had thoughts of futility, such as:

  • “I don’t think that person has ever said, ‘Good point.’”
  • “The minute I try to explain myself, that person just talks over me. Listening doesn’t happen.”
  • “Stubbornness doesn’t even begin to describe what I’m up against.”
  • “Maybe that person can be nice in public, but behind the scenes it’s not at all like that.”

........
Below is BC3 after structural relaxation, with properties calculated at the PBE level. Values from VASP.

```
&SYSTEM
  ibrav = 0, nat = 8, ntyp = 2
/
ATOMIC_SPECIES
C 12.01 C.upf
B 10.81 B.upf
ATOMIC_POSITIONS angstrom
C -2.2220 6.1622 -0.6564
C -8.2964 23.0079 -2.4508
C -3.8890 10.7851 -1.1488
B -6.5888 18.2724 -1.9463
C -8.8205 24.4614 -2.6056
B -4.4210 12.2605 -1.3060
C -6.0438 16.7609 -1.7853
C -1.7171 4.7619 -0.5072
CELL_PARAMETERS angstrom
-2.8234 8.0617 -2.3395
-4.2096 7.7893 -0.2039
-1.8088 8.6694 -0.0684
```

## Properties
ΔE_f in eV/atom: 0.313
Space-group type: R3m, No. 160
Distance to the lowest polymorph of the same formula in meV per atom: 72
Volume in Å³/cell: 49.6

Below is Li2InSi after structural relaxation, with properties calculated at the PBE level. Values from VASP.

```
&SYSTEM
  ibrav = 0, nat = 4, ntyp = 3
/
ATOMIC_SPECIES
Li 6.94 Li.upf
In 114.82 In.upf
Si 28.09 Si.upf
ATOMIC_POSITIONS angstrom
Li 0.0000 0.0000 4.0621
In 1.3920 1.4133 6.4678
Si 1.3920 1.4133 2.1559
Li 0.0000 0.0000 0.2497
CELL_PARAMETERS angstrom
2.8526 -0.0252 0.0000
-0.0685 2.8518 0.0000
0.0000 0.0000 8.6237
```

## Properties
Space-group type: Cmmm, No. 65
Energy relative to the elements, uncorrected in eV per atom: -0.1265
Volume in Å³/cell: 70.1

Below is SrHoHg after structural relaxation, with properties calculated at the PBE level. Values from VASP.

```
&SYSTEM
  ibrav = 0, nat = 3, ntyp = 3
/
ATOMIC_SPECIES
Ho 164.93 Ho.upf
Hg 200.59 Hg.upf
Sr 87.62 Sr.upf
ATOMIC_POSITIONS angstrom
Ho -0.5263 3.9190 -0.2454
Hg -2.8406 2.0776 -1.1499
Sr -0.0328 0.2443 -0.0153
CELL_PARAMETERS angstrom
-1.4992 -0.4223 -3.5287
-3.5167 -0.3759 1.5391
1.6163 7.0390 0.5789
```

## Properties
ΔE_f in eV/atom: -0.267
Space-group type: I4mm, No. 107
Distance to the lowest polymorph of the same formula in meV per atom: 45
Volume in Å³/cell: 99.9

Below is Ba2SnRuN after structural relaxation, with properties calculated at the PBE level. Values from VASP.

```
&SYSTEM
  ibrav = 0, nat = 5, ntyp = 4
/
ATOMIC_SPECIES
Ru 101.07 Ru.upf
N 14.01 N.upf
Ba 137.33 Ba.upf
Sn 118.71 Sn.upf
ATOMIC_POSITIONS angstrom
Ru 0.0000 0.0000 1.9102
N 0.0000 0.0000 0.0000
Ba 2.9986 0.0000 0.0000
Sn 2.9986 2.9986 1.9102
Ba 0.0000 2.9986 0.0000
CELL_PARAMETERS angstrom
5.9972 0.0000 0.0000
0.0000 5.9972 0.0000
0.0000 0.0000 3.8205
```

## Properties
Space-group type: P4/mmm, No. 123
Distance to the lowest polymorph of the same formula in meV per atom: 0
Energy relative to the elements, uncorrected in eV per atom: -0.3164
Volume in Å³/cell: 137.4

Below is Rb3Sn2I7 after structural relaxation, with properties calculated at the PBE level. Values from VASP.

```
&SYSTEM
  ibrav = 0, nat = 12, ntyp = 3
/
ATOMIC_SPECIES
I 126.90 I.upf
Rb 85.47 Rb.upf
Sn 118.71 Sn.upf
ATOMIC_POSITIONS angstrom
I 0.0000 0.0000 0.0000
Rb 3.1279 3.1279 5.4913
Rb 3.1279 3.1279 0.0000
Sn 3.1279 3.1279 12.2352
Sn 0.0000 0.0000 3.2149
I 3.1279 0.0000 12.3823
I 3.1279 0.0000 3.0678
I 0.0000 3.1279 12.3823
........
### End of the records of crystals

One of the side effects of the narcissistic pattern of life is an astonishingly low level of self-awareness. Being committed from early in life to a False Self, they have developed all sorts of defense mechanisms, prompting them to sidestep the responsibilities associated with conflict resolution and coordinating differences. They operate with an oblivious, clueless mindset that ensures ongoing strain and tension in primary relationships.

There are multiple signs that illustrate their incapacity for rational discussions.

Let’s look at seven of the most common.

  1. Once narcissists are emotionally triggered by disagreements, they cannot pull out of it. Their emotions veto the mind, not the other way around. Reason is lost.
  2. Narcissists are consumed by egotism. There is little to no willingness to ponder another person’s needs or point of view. Instead, they must always be right, prompting them to relegate you to a subordinate’s position.
  3. They have an exaggerated lack of empathy. In their oblivion, narcissists not only do not pay attention to the other’s perspective, it does not even dawn upon them to do so. They forget that others have the right to their uniqueness.
  4. Once angered, narcissists will jump from topic to topic. This illustrates how they become stuck in a loop of irrationality. Rather than engaging in a fair conversation, they use a “piling on” tactic, as if that somehow makes them more correct.
  5. Narcissists show no appreciation for nuance. Rather than recognizing that variety is built into the human fabric, they bring black/white thinking to the equation. In their minds, there is no other way to think beyond the narcissist’s. Period, end of discussion.
  6. Narcissists display no forethought regarding the undesirable fallout caused by their blustery mannerisms. Having no future focus, they live inside the mood of the moment, showing no need to consider the cost of their own contentious attitudes.
  7. They are not teachable. With minds made up, narcissists refuse to consider that no one is so enlightened that they have no need for education. In their minds, they are a finished product.

How to deal with an oblivious, clueless narcissist

When you encounter the oblivious, clueless attitudes of a narcissist, recognize that you will never go beyond a functional level (if that) with that person. You will be tempted to persuade them to listen to your ideas or principles or feelings, and that is understandable. But don’t get your hopes up. Being clueless, they assume any problem in their life is your fault.

Instead, it will be necessary for you to set your boundaries, meaning you would establish what you will and will not do in your ongoing exchanges. Don’t expect that any lightbulbs to go off in that person’s mind as you set your separate course. These are adults who use immature, childish reasoning, so plan accordingly.

On Team Healthy, we stand for traits like dignity, respect, and civility, concepts lost on narcissists. But their lack of understanding does not preclude you from moving forward with your own well-conceived patterns intact. That understood, as you minimize your involvements with oblivious, clueless narcissists, your capacity to find peace increases.

~Dr. Les Carter